Free vector calculus download - vector calculus script - Top 4 Download

Vector Calculus scripts

Discrete Event Calculus Reasoner

The Discrete Event Calculus Reasoner is an open source program for performing automated commonsense reasoning using the event calculus, a comprehensive and highly usable logic-based formalism. It solves problems efficiently by converting them into satisfiability (SAT) problems. Features: - Comes with 99 examples - Comes with 13-page ...

Matrix vector multiplication

... and 'map', this code shows how a matrix vector multiplication can be reduced to a single loop. ...

Data records that have nothing to do with the page >
~~~
1.
Starting from a crystal structure in Alexandria, relaxed with PBE, the X-ray powder pattern of TaS2F5 was calculated for Cu Ka.

The 10 most intense peaks (10° ≤ 2θ ≤ 80°), by angle:
h k l, 2θ/deg, intensity
0 0 1, 12.49, 56
0 1 0, 14.10, 43
0 1 -1, 18.88, 100
1 0 0, 23.28, 23
1 1 0, 23.40, 16
0 0 2, 25.14, 42
1 1 1, 25.24, 21
1 1 -1, 27.91, 11
0 2 0, 28.42, 18
1 2 0, 31.06, 15

Crystal structure
Cell: 4.030 6.582 7.141 Å, 87.63 82.97 72.62°
Atoms (fractional coordinates):
1 Ta 0.000 0.000 0.000
2 S 0.315 0.424 0.478
3 S 0.823 0.583 0.527
4 F 0.016 0.015 0.262
5 F 0.060 0.705 0.014
6 F 0.141 0.986 0.738
7 F 0.500 0.000 0.999
8 F 0.779 0.295 0.986

2.
Starting from a crystal structure in Alexandria, relaxed with PBE, the X-ray powder pattern of NbVCrCuSi was calculated for Cu Ka.

The 10 most intense peaks (10° ≤ 2θ ≤ 80°), by angle:
h k l, 2θ/deg, intensity
0 0 2, 11.53, 7
1 0 1, 30.59, 11
1 0 3, 34.87, 19
1 0 5, 42.30, 100
1 1 0, 42.97, 54
0 0 10, 60.32, 6
2 0 0, 62.39, 17
1 1 8, 65.88, 7
1 1 10, 76.88, 10
2 1 5, 78.28, 29

Crystal structure
Cell: 2.977 2.977 15.345 Å, 90.00 90.00 90.00°
Atoms (fractional coordinates):
1 Nb 0.000 0.000 0.000
2 Nb 0.500 0.500 0.500
3 V 0.000 0.000 0.783
4 V 0.500 0.500 0.283
5 Cr 0.000 0.000 0.201
6 Cr 0.500 0.500 0.701
7 Cu 0.000 0.000 0.381
8 Cu 0.500 0.500 0.881
9 Si 0.000 0.000 0.616
10 Si 0.500 0.500 0.116
~~~


Zodius is a fast 2d vector graphics library. It intends to support Flash and SVG type paths including all filling and stroking types. The OO interface is very easy to use and requires little knowledge about graphics. ...

beez svg bezier animator

beez:: is a vector-drawing editor/animator to create SVG animations based on W3C's specifications and Adobe's implementation. The program is completely based on Bezier cubic-interpolated shapes (you now know why it's called so). Even rectangles and ellipses are animatable curves.Create and animate each element (path in SVG terminology) in widescreen. Frames ...

Weighted choice

... search. This script return random samples of cumulative vector (1-D numpy array) c. Each element of array returned is an integer from 0 through n-1, where n is the length of c. ...


Tiny Vector and Matrix template library uses Meta Templates (MT) ... systems."Tiny" is a subjective term, but typically means vectors and matrices of size ten (10) or less.Features: ... - type promotion (for handling Matrices and Vectors of differing types). - works on self ... the expanded expression tree). - Matrices and Vectors with fixed sizes (of course), the data is ...


... class, 'dot' products also apply between matrics and vectors. Two methods, 'CGsolve' and 'biCGsolve', are provided to solve linear systems. ...

IT Library

... The kernel of the IT library are templated vector and matrix classes, and lots of functions for vectors and matrices. Such a kernel makes IT library similar to Matlab . Features: - templated vector and matrix classes - sparse vector and matrix classes - elementary functions on vectors and matrices - matrix decompositions such as ...

EMF to Vector Converter

VeryDOC EMF to Vector Converter (EMF2Vector) converts enhanced metafiles (EMF) and Windows ... (Postscript), EPS, SVG, SWF, XPS, HPGL, PCL etc. vector formats while preserving the vector and text information. EMF to Vector Converter is can also convert EMF and WMF ... PCX, PNM, RAS, PBM, TIFF  etc.VeryDOC EMF to Vector Converter (EMF2Vector) can be used to batch convert ...

PDF to Vector Converter

... convert from Acrobat PDF files to other scalable vector graphics formats, such as EMF, WMF, SVG, Postscript ... volumes of PDF files in real-time. PDF to Vector Converter is available via an easily integrated COM ... PostScript file EPS Adobe Encapsulated PostScript SVG Scalable Vector Graphics SWF Macromedia Flash File Format XPS Microsoft ...

Vector Calculus scripts download notice

Top 4 Download periodically updates scripts information of vector calculus full scripts versions from the publishers, but some information may be slightly out-of-date.

Using warez version or not proper vector calculus script install is risk. Download links are directly from our mirrors or publisher's website, vector calculus torrent files or shared files from free file sharing and free upload services, including Rapidshare, HellShare, HotFile, FileServe, MegaUpload, YouSendIt, Letitbit, DropSend, MediaMax, LeapFile, MyOtherDrive or MediaFire, are not allowed!